Listing.
+++
Record 1
The following is a PBE calculation of a relaxed structure of ErTe2, from Alexandria.

a = 4.426 Å, b = 4.426 Å, c = 8.827 Å
α = 90.00°, β = 90.00°, γ = 90.00°
Fractional coordinates of all 6 atoms:
1 Er 0.750 0.750 0.729
2 Te 0.250 0.250 0.628
3 Te 0.250 0.750 0.000
4 Te 0.750 0.250 0.000
5 Te 0.750 0.750 0.372
6 Er 0.250 0.250 0.271

* uncorrected formation energy: -1.1039 eV/atom
* D(E_F): 0.761 states/eV per cell

---

Record 2
The following is a PBE calculation of a relaxed structure of Ac2Fe2Si2N, from Alexandria.

a = 4.004 Å, b = 5.950 Å, c = 6.380 Å
α = 72.28°, β = 71.71°, γ = 70.34°
Fractional coordinates of all 7 atoms:
1 N 0.000 0.000 0.000
2 Ac 0.556 0.193 0.694
3 Si 0.195 0.373 0.237
4 Fe 0.182 0.703 0.932
5 Fe 0.818 0.297 0.068
6 Ac 0.444 0.807 0.306
7 Si 0.805 0.627 0.763

* uncorrected formation energy: -0.6490 eV/atom
* D(E_F): 4.605 states/eV per cell

---

Record 3
The following is a PBE calculation of a relaxed structure of LaBe2As, from Alexandria.

a = 3.820 Å, b = 4.212 Å, c = 4.730 Å
α = 79.71°, β = 90.00°, γ = 90.00°
Fractional coordinates of all 4 atoms:
1 Be 0.500 0.204 0.115
2 As 0.500 0.752 0.913
3 La 0.000 0.521 0.473
4 Be 0.000 0.024 0.999

* D(E_F): 0.975 states/eV per cell
* energy of formation from the pure elements: -212 meV/atom

---

no.,magnetic moment (μB per cell),density (kg/m³),raw total energy (eV/f.u.)
1,0.000,8116,-14.2
2,0.001,7969,-48.9
3,0.000,5142,-17.9

----------

Entry 1:
Below is a relaxed TlIn2Pb crystal, with properties calculated at the PBE-GGA level.

Cell lengths 3.3918, 3.3918, 10.9666 Å; angles 90.00, 90.00, 110.98 degrees
Sites, in units of the cell vectors:
Pb: 0.5000 0.5000 0.2500
Tl: 0.5000 0.5000 0.7500
In: 0.0000 0.0000 0.9979
In: 0.0000 0.0000 0.5021

Values from the calculation:
E_tot in eV/atom: -2.857
Excess energy over the best structure of this formula in the dataset in kcal/mol of atoms: 0.79
ΔH_f (0 K) in eV per formula unit: 0.1



Entry 2:
Below is a relaxed Tl2InPb crystal, with properties calculated at the PBE-GGA level.

Cell lengths 6.1742, 6.1742, 5.9537 Å; angles 76.08, 76.08, 33.13 degrees
Sites, in units of the cell vectors:
Pb: 0.2461 0.2461 0.2599
Tl: 0.9987 0.9987 0.9963
Tl: 0.7538 0.7538 0.7498
In: 0.5014 0.5014 0.4940

Values from the calculation:
E_tot in eV/atom: -2.789
Excess energy over the best structure of this formula in the dataset in kcal/mol of atoms: 0.18
ΔH_f (0 K) in eV per formula unit: 0.0



Entry 3:
Below is a relaxed TlIn6Pb5 crystal, with properties calculated at the PBE-GGA level.

Cell lengths 5.0592, 10.0106, 8.9306 Å; angles 123.83, 106.02, 90.75 degrees
Sites, in units of the cell vectors:
Pb: 0.6662 0.1662 0.3323
Pb: 0.3319 0.3319 0.6637
Pb: 0.0000 0.5000 0.0000
Pb: 0.6681 0.6681 0.3363
Pb: 0.3338 0.8338 0.6677
Tl: 0.0000 0.0000 0.0000
In: 0.8337 0.5832 0.6667
In: 0.8330 0.0835 0.6667
In: 0.5017 0.7493 0.0000
In: 0.4983 0.2507 0.0000
In: 0.1670 0.9165 0.3333
In: 0.1663 0.4168 0.3333

Values from the calculation:
E_tot in eV/atom: -3.101
ΔH_f (0 K) in eV per formula unit: 0.1



Entry 4:
Below is a relaxed Tl3InPb3 crystal, with properties calculated at the PBE-GGA level.

Cell lengths 8.5122, 8.5122, 8.5122 Å; angles 90.00, 90.00, 90.00 degrees
Sites, in units of the cell vectors:
Pb: 0.0000 0.2500 0.5000
Pb: 0.0000 0.7500 0.5000
Pb: 0.5000 0.0000 0.7500
Pb: 0.7500 0.5000 0.0000
Pb: 0.5000 0.0000 0.2500
Pb: 0.2500 0.5000 0.0000
Tl: 0.2500 0.0000 0.5000
Tl: 0.0000 0.5000 0.2500
Tl: 0.5000 0.7500 0.0000
Tl: 0.7500 0.0000 0.5000
Tl: 0.0000 0.5000 0.7500
Tl: 0.5000 0.2500 0.0000
In: 0.5000 0.5000 0.5000
In: 0.0000 0.0000 0.0000

Values from the calculation:
E_tot in eV/atom: -2.541
Excess energy over the best structure of this formula in the dataset in kcal/mol of atoms: 9.39
ΔH_f (0 K) in eV per formula unit: 3.2



Entry 5:
Below is a relaxed TlInPb5 crystal, with properties calculated at the PBE-GGA level.

Cell lengths 5.0171, 5.0171, 9.0046 Å; angles 90.00, 90.00, 90.00 degrees
+++
Activity.
Now search the block further up for the word "PBE-GGA" and transcribe each line that has it.
Reply.
Below is a relaxed TlIn2Pb crystal, with properties calculated at the PBE-GGA level.
Below is a relaxed Tl2InPb crystal, with properties calculated at the PBE-GGA level.
Below is a relaxed TlIn6Pb5 crystal, with properties calculated at the PBE-GGA level.
Below is a relaxed Tl3InPb3 crystal, with properties calculated at the PBE-GGA level.
Below is a relaxed TlInPb5 crystal, with properties calculated at the PBE-GGA level.